Food ordering and corporate catering made easy

Lazymeal was a made-in-Vancouver online food ordering and delivery service that served individuals and businesses from 2009 until 2022.

When this startup was first launched, I was invited— along with my partner at the time, a web developer—to join the founding team.

I served as the Creative Director, and had the pleasure of working on countless projects, from the customer-facing website, the internal admin console, design for the mobile app, the restaurant interface, email marketing, social media, and much, much more. Scroll down to check it out.

Designed & Built with

The Lazymeal website home page.

Logo and branding

The Lazymeal logo is a customized logotype based on TeX Gyre Adventor.

If you look closely, you'll notice a spoon shape within the negative space of the Happy E icon.

Chief Technical Officer, Ryan, wears an insulated delivery bag emblazoned with the Lazymeal logo, while doing bike deliveries. This provided invaluable first-hand feedback to help improve the user experience for, restaurants, customers, and food couriers.

Logo stickers of various sizes were affixed to the doors and windows of hundreds of restaurants around Greater Vancouver.

_Records of crystals, as found in the file_
Structure and calculated powder XRD pattern of ThSi3Ir5 (the PBE geometry in Alexandria; CuKα).
Kinematic intensities with the Lorentz-polarization factor, no thermal factor.

Largest 10 diffraction maxima, sorted by position, 2θ from 5° to 70°:
index	2θ (°)	d/Å	I (rel.)
0 2 3	25.90	3.441	569
1 3 0	31.52	2.839	519
1 1 3	32.13	2.786	1000
1 3 1	32.35	2.768	462
1 3 2	34.73	2.583	381
1 1 4	37.50	2.398	835
1 5 0	43.44	2.083	410
2 0 0	46.00	1.973	766
0 2 6	46.12	1.968	469
2 2 6	67.20	1.393	309

Structure:
```
data_ThSi3Ir5
_chemical_formula_sum 'Th4 Si12 Ir20'
_symmetry_space_group_name_H-M 'C m c m'
_symmetry_Int_Tables_number 63
_symmetry_space_group_name_Hall '-C 2c 2'
_cell_length_a 3.9438
_cell_length_b 12.2660
_cell_length_c 12.4683
_cell_angle_alpha 90.00
_cell_angle_beta 90.00
_cell_angle_gamma 90.00
loop_
_atom_site_label
_atom_site_fract_x
_atom_site_fract_y
_atom_site_fract_z
Th1 0.0000 0.1621 0.2500
Si1 0.0000 0.1151 0.7500
Si2 0.0000 0.3868 0.5398
Ir1 0.0000 0.0000 0.0000
Ir2 0.0000 0.2054 0.5774
Ir3 0.0000 0.4477 0.1461
```

~~~~~

Record 1
Starting from a GGA-PBE-relaxed structure, the PXRD pattern of CdH6N2Cl2 was calculated for Cu Kα.
Intensities are scaled so that the largest is 1000.

Structure:
```
data_CdH6N2Cl2
_chemical_formula_sum 'Cd2 H12 N4 Cl4'
_cell_length_a 8.631
_cell_length_b 8.353
_cell_length_c 4.050
_cell_angle_alpha 90.00
_cell_angle_beta 92.02
_cell_angle_gamma 90.00
_symmetry_space_group_name_H-M 'C 1 2 1'
_symmetry_Int_Tables_number 5
loop_
_symmetry_equiv_pos_as_xyz
'x,y,z'
'-x,y,-z'
'x+1/2,y+1/2,z'
'-x+1/2,y+1/2,-z'
loop_
_atom_site_label
_atom_site_fract_x
_atom_site_fract_y
_atom_site_fract_z
Cd1 0.000 0.000 0.000
H1 0.185 0.592 0.892
H2 0.187 0.454 0.182
H3 0.203 0.402 0.794
N1 0.236 0.487 0.966
Cl1 0.000 0.228 0.500
Cl2 0.000 0.775 0.500
```

Most intense lines, 15° ≤ 2θ ≤ 90°, in order of rising 2θ:
d_spacing	2theta	I (rel.)	h k l
4.313	20.59	688	2 0 0
3.394	26.26	378	1 1 -1
3.318	26.87	262	1 1 1
2.907	30.76	1000	0 2 1
2.719	32.95	352	3 1 0
2.439	36.85	319	2 2 -1
2.382	37.76	302	2 2 1
2.226	40.53	360	1 3 -1
2.206	40.91	191	1 3 1
2.156	41.90	199	4 0 0

=====

Record 2
Starting from a GGA-PBE-relaxed structure, the PXRD pattern of Er2MgTc was calculated for Cu Kα.
Intensities are scaled so that the largest is 1000.

Structure:
```
data_Er2MgTc
_chemical_formula_sum 'Er8 Mg4 Tc4'
_cell_length_a 7.078
_cell_length_b 7.078
_cell_length_c 7.078
_cell_angle_alpha 90.00
_cell_angle_beta 90.00
_cell_angle_gamma 90.00
_symmetry_space_group_name_H-M 'F m -3 m'
_symmetry_Int_Tables_number 225
_symmetry_space_group_name_Hall '-F 4 2 3'
loop_
_atom_site_label
_atom_site_fract_x
_atom_site_fract_y
_atom_site_fract_z
Er1 0.250 0.250 0.250
Mg1 0.000 0.000 0.000
Tc1 0.000 0.000 0.500
```

Most intense lines, 15° ≤ 2θ ≤ 90°, in order of rising 2θ:
d_spacing	2theta	I (rel.)	h k l
4.086	21.75	66	1 1 1
3.539	25.17	244	2 0 0
2.502	35.89	1000	2 2 0
2.043	44.34	75	2 2 2
1.769	51.66	176	4 0 0
1.583	58.30	102	4 2 0

Touchpoints map

One design innovation I was most proud of while working at Lazymeal was the development of the Touchpoints Map.

I made use of Affinity Designer's massive canvas size to build a document that allowed us to quickly view and edit every single item that any user came in contact with—from individual customers to corporate users, restaurants, and the internal team—and see how each screen or component connected to the system as whole.

Website elements

Early on in the project, the Lazymeal team chose to differentiate our service from the competition by featuring as much food photography as possible. To do this, we hired photographers to visit restaurants that didn't already have their own images, when onboarding them onto the system.

An early version of the restaurant list displayed four photos for each vendor. Coloured tags above indicated the restaurant's details.

The design was adjusted later to a more compressed layout. Changing from four images for each restaurant to one allowed the user to see more options with less scrolling.

The header and navigation was also greatly simplified for a much more clean appearance.

A restaurant's full menu, photographed items at the top.

An individual food item with the custom order options.

The food item screen at tablet and mobile break points.

This line illustration was featured in the footer of the website and emails. It was an effective way to tell the food delivery story and inject some fun and personality into the user experience.

Automated and marketing emails

The template for an automatically generated order confirmation email sent to the customer.

An email sent to customers on May 4th—Star Wars day, featuring a custom illustrated Happy E Yoda character.